The reader should work out how many lines underneath have the word "composition" in them; a number is enough.

'''
11 unconnected molecules or ions with the total composition C71H140F18N5O12, computed with ωB97M-V with the def2-TZVPD basis set.

The geometry in XYZ format:
```
246
Properties=species:S:1:pos:R:3
H -1.322 -1.947 4.043
H -5.156 -2.334 2.448
H -6.326 0.208 0.282
O 6.788 -1.443 1.119
H 0.324 -0.382 2.936
C -2.312 -7.691 -2.391
F -6.265 -5.469 -6.875
H -5.323 4.391 -2.186
H 3.268 -0.375 2.797
H -9.021 2.877 -0.787
H 0.357 -1.506 1.608
H 0.781 0.890 5.664
C 6.164 1.203 2.326
C -3.767 3.138 -1.067
C 7.094 0.892 -2.389
H -0.384 -4.825 -4.602
C -0.645 -3.602 -1.345
C 2.033 1.495 7.897
H 0.868 5.348 4.793
H 1.226 -6.162 -2.425
H 2.597 1.172 -3.372
H -0.808 5.067 4.853
H -1.648 -0.272 -1.236
H 6.678 -1.813 -1.511
F -6.372 -6.972 -5.287
H -1.545 2.176 -2.385
H -1.951 -5.955 -4.450
C 3.594 5.331 7.546
H -4.611 -3.765 -2.883
H -6.832 -1.631 2.391
H 4.851 5.450 5.465
C 5.717 -3.733 -2.203
H -3.828 0.357 0.600
H 7.250 1.995 -0.058
H 6.745 3.858 0.086
H -4.809 3.137 -3.196
H 1.224 -0.098 -8.304
F 7.334 -3.949 2.360
H 5.947 -3.752 -3.304
C -7.495 1.066 1.798
C -5.874 -1.760 1.847
F -3.057 5.022 2.841
C 2.936 3.838 -5.543
C 3.154 6.410 8.563
H -1.330 -8.917 -3.760
O 2.205 1.587 -5.530
F 2.512 5.111 -5.251
N -5.301 -0.349 1.968
C -1.365 0.403 -3.734
H 4.533 1.524 3.698
C 4.249 -0.193 2.350
H -3.269 -0.814 1.810
H 5.533 2.258 -1.935
C 4.319 0.460 0.965
C 4.946 2.858 0.935
H -0.419 0.119 -4.170
H 1.061 1.716 -0.045
C -3.397 -9.637 -3.520
H -2.175 -4.120 -2.968
C -6.169 0.675 1.226
H -8.805 2.736 1.593
C 6.211 -3.768 1.636
H 3.366 4.363 8.015
O -4.384 3.068 0.196
H 3.372 1.017 0.759
H 2.837 1.419 8.627
C 5.922 4.060 0.769
H 6.450 -4.278 -1.656
H 5.628 0.289 4.179
H -0.683 1.453 3.939
N -0.015 0.976 -1.704
F -5.036 -7.274 -7.039
H -7.233 2.952 0.883
H -7.324 1.503 2.810
H -5.717 2.776 -1.669
N 5.520 1.503 1.016
H 0.438 6.231 2.674
H 1.092 -0.305 -3.011
H -8.154 0.187 1.806
C -0.941 2.467 4.101
C -5.159 -4.608 -3.325
C 0.045 4.867 4.268
H -2.075 0.338 -5.786
F -3.907 5.604 0.972
H 6.646 2.146 2.481
H -8.007 1.461 -1.013
H -1.164 -0.506 1.923
H 5.227 5.177 -0.886
C 2.400 1.128 -2.280
H 7.808 0.231 -1.813
H 5.763 6.145 0.524
C -5.732 -2.092 0.395
H -3.646 -2.520 0.173
C 1.604 2.906 -5.575
N -0.726 -5.634 -2.680
H -0.131 -7.573 -1.998
H -1.148 5.425 2.572
C -3.411 3.185 1.299
C 1.562 1.611 5.446
C -3.304 -4.629 2.303
O -3.637 -6.429 -4.673
H 3.059 0.330 6.274
H -3.047 3.977 -1.136
O -2.130 2.922 0.986
H 1.338 -0.230 -5.789
H 2.003 1.321 4.463
H -2.395 -3.828 4.029
C -4.091 -0.536 1.104
N 0.317 3.351 4.187
H -0.485 -0.053 0.106
H -1.467 2.602 5.001
C 5.283 5.267 0.195
H -0.194 2.054 -3.458
H -1.768 2.044 -5.100
H -1.901 -0.435 -3.227
C -4.988 0.013 3.346
H -0.225 -6.621 -4.533
H 1.141 2.140 2.621
C 1.953 0.456 -7.723
H 1.290 0.693 8.090
C 0.471 4.184 1.996
C -4.282 -5.608 -5.453
O 5.312 -2.451 -0.238
F 3.818 3.581 -4.589
H -3.961 -10.121 -2.687
C 1.240 0.156 -2.038
H -1.159 -3.218 -0.469
C -4.930 3.322 -2.148
C 1.830 2.472 -1.914
F 5.284 -3.494 2.475
H 2.111 6.486 8.427
H -3.935 -8.852 -4.058
F 3.472 3.844 -6.703
F -5.124 4.431 2.368
H 2.165 3.445 3.100
H 2.178 1.379 -8.275
O 3.426 4.791 4.130
H 0.790 -4.502 -3.125
H 6.335 4.113 1.750
H -4.225 -1.335 -0.973
H 4.468 -0.344 0.227
C -2.160 0.992 -4.889
O 2.920 5.395 6.299
C -0.137 5.323 2.864
C -8.043 2.260 0.968
H 0.372 1.061 -6.489
H -5.808 -0.244 4.006
H 2.529 3.234 -1.513
C -0.973 0.404 -0.711
C 0.558 -4.558 -0.943
H -4.848 1.100 3.404
H -6.840 -3.662 -3.522
C -2.750 -3.432 3.104
C -3.886 4.560 1.854
C 0.710 2.176 -0.996
H 0.278 -5.212 -0.142
H -4.336 1.179 -5.249
H 2.082 3.729 5.306
F -2.383 -5.465 1.932
C 0.714 -5.233 -2.316
H -4.694 -5.511 -2.981
C -0.715 -2.249 3.164
H -3.192 2.169 -1.323
F 4.164 7.841 5.833
H 4.389 3.117 1.812
C -1.074 -6.939 -1.969
H -0.403 3.580 1.680
H -0.265 -2.787 -1.964
H -3.920 -0.017 -4.137
C -4.318 -1.645 0.062
H 0.144 -2.857 3.493
H 3.361 5.991 9.535
H -2.359 -5.110 -1.531
H -3.693 1.573 -3.604
H -5.786 -3.208 0.281
C -8.694 1.943 -0.339
C -3.607 0.927 -4.478
'''

1